Thanks a lot man, is it possible to use that glitch after the map is complete though? I thought you had to start off a new map with the glitch enabled?
At first when I loaded up the map and ran around it my immediate thought was "Aww heeeell no, he's copied Tigaers Chill Out remake". But then I went around and checked it out properly and came to the conclusion that it's got similiarities but that you're not a copy-ninja ;P, sorry bud. With that said I have to say that you've done a great job on this one. I couldn't anything that wasn't up to par . Keep up the excellent work!
Haha thanks for taking the time to check it out . Tigaer's Chill Out is amazing, our "shotgun rooms" are very similar but mine is a lot bigger, but I definitely got some inspiration from his map. Don't worry though, Tigaer has checked out Runway and he loves it too
I believe that you can glitch as long as you have enough extra budget to increase the run times to the max on at least one object, but I'm not sure. Try baleeting a few things, then trying the glitch on a BR for instance.
I just played a couple games here, and they were both fun... for me anyway. I got lots of kills so I liked it. My Buddy (when he saw the map name): "I don't like that map. I looked at it and I didn't see any reason to keep it." My Buddy (after we played and I owned him): "I changed my mind. I hate that map."
When I played this recently tonight, I found that the spawns really need some work. I found myself spawn one time by a rocket launcher, then get to jump on top of the map and get cheap kills. Then, I was killed, respawned, and instantly assasinated. Then I respawned facing a wall. I think the spawns need a lot of work and a little scenery needs to be put around the map to make it look a bit better. I still think the design was pretty good though, especially since I can actually get some kills on this map (although not very many )
Where did you spawn facing a wall? Every single spawn is set facing outwards. But I will take that into account. I have some spawns that are pretty close to the rocket spawn on purpose though. If you remember Chill Out from Halo 1, and basically any map from Halo 1, there were always spawns near power weapons or power-ups. Even though you spawned near a rocket, it is balanced out because other people spawn near the Sniper Rifle, Hammer, Overshield, and Active Camo. If the Rocket was the only power weapon I wouldn't have allowed that, but since it is one of 3 (Rocket, Hammer, Sniper) and there are 2 power-ups, I have found no problems with it. The thing with you being instantly assassinated would be Bungie's fault though. It is random which spawn-point the game chooses to have you spawn into, and that is all based on Bungie's proximity spawning system. I can't control the fact that someone happened to be in a room behind an area where a spawn point is and Bungie's system happened to spawn you there out of the possible 99 other locations.
What comes next are materials data, not part of the piece:
# 1
Ce2Cu4SiGe3: computed PXRD pattern (λ = 1.5418 Å (Cu Kα)), based on a cell relaxed with GGA-PBE.

Main lines, in order of falling intensity (10 to 80 degrees two-theta):
2θ (°), I/Imax
35.3, 100.0
34.7, 80.9
43.1, 65.3
56.5, 39.0
51.3, 30.4
30.1, 28.2
69.2, 24.1
74.0, 22.0
62.6, 20.7
65.0, 13.3

Structure:
a = 4.196 Å, b = 4.196 Å, c = 9.837 Å
α = 90.00°, β = 90.00°, γ = 90.00°
Fractional positions:
1 Ce 0.000 0.500 0.250
2 Ce 0.500 0.000 0.750
3 Cu 0.000 0.000 0.000
4 Cu 0.000 0.500 0.624
5 Cu 0.500 0.000 0.376
6 Cu 0.500 0.500 0.000
7 Si 0.000 0.000 0.500
8 Ge 0.000 0.500 0.867
9 Ge 0.500 0.000 0.133
10 Ge 0.500 0.500 0.500

***

# 2
Pu2ZnO11: computed PXRD pattern (λ = 1.5418 Å (Cu Kα)), based on a cell relaxed with GGA-PBE.

Main lines, in order of falling intensity (10 to 80 degrees two-theta):
2θ (°), I/Imax
17.3, 100.0
24.2, 33.4
24.1, 27.5
25.0, 21.9
23.7, 20.2
22.8, 19.5
21.7, 19.2
27.6, 18.7
23.0, 16.5
28.1, 15.2

Structure:
a = 7.667 Å, b = 7.964 Å, c = 8.460 Å
α = 68.09°, β = 68.04°, γ = 82.09°
Fractional positions:
1 Pu 0.000 0.000 0.000
2 Pu 0.072 0.871 0.479
3 Pu 0.455 0.471 0.895
4 Pu 0.598 0.396 0.415
5 Zn 0.586 0.885 0.444
6 Zn 0.942 0.493 0.927
7 O 0.008 0.252 0.897
8 O 0.046 0.711 0.716
9 O 0.100 0.007 0.236
10 O 0.192 0.465 0.981
11 O 0.209 0.594 0.418
12 O 0.246 0.989 0.868
13 O 0.253 0.613 0.242
14 O 0.322 0.918 0.435
15 O 0.413 0.518 0.186
16 O 0.454 0.702 0.731
17 O 0.461 0.366 0.660
18 O 0.464 0.236 0.030
19 O 0.551 0.157 0.457
20 O 0.636 0.635 0.378
21 O 0.713 0.494 0.837
22 O 0.758 0.008 0.164
23 O 0.763 0.423 0.177
24 O 0.821 0.832 0.518
25 O 0.856 0.204 0.655
26 O 0.884 0.257 0.477
27 O 0.943 0.041 0.712
28 O 0.976 0.756 0.072

***

# 3
Tm4TcPt: computed PXRD pattern (λ = 1.5418 Å (Cu Kα)), based on a cell relaxed with GGA-PBE.

Main lines, in order of falling intensity (10 to 80 degrees two-theta):
2θ (°), I/Imax
35.4, 100.0
31.2, 85.4
32.0, 80.6
42.3, 52.0
36.8, 48.3
42.6, 46.4
34.7, 38.4
32.4, 35.7
41.7, 32.5
57.3, 27.8

Structure:
a = 7.391 Å, b = 4.275 Å, c = 18.118 Å
α = 90.00°, β = 90.00°, γ = 90.00°
Fractional positions:
1 Tm 0.008 0.250 0.073
2 Tm 0.071 0.250 0.781
3 Tm 0.092 0.250 0.353
4 Tm 0.149 0.250 0.543
5 Tm 0.351 0.750 0.043
6 Tm 0.408 0.750 0.853
7 Tm 0.429 0.750 0.281
8 Tm 0.492 0.750 0.573
9 Tm 0.508 0.250 0.427
10 Tm 0.571 0.250 0.719
11 Tm 0.592 0.250 0.147
12 Tm 0.649 0.250 0.957
13 Tm 0.851 0.750 0.457
14 Tm 0.908 0.750 0.647
15 Tm 0.929 0.750 0.219
16 Tm 0.992 0.750 0.927
17 Tc 0.250 0.250 0.938
18 Tc 0.250 0.750 0.438
19 Tc 0.750 0.250 0.562
20 Tc 0.750 0.750 0.062
21 Pt 0.223 0.250 0.205
22 Pt 0.277 0.750 0.705
23 Pt 0.723 0.250 0.295
24 Pt 0.777 0.750 0.795

***

# 4
PmErGaHg: computed PXRD pattern (λ = 1.5418 Å (Cu Kα)), based on a cell relaxed with GGA-PBE.

Main lines, in order of falling intensity (10 to 80 degrees two-theta):
2θ (°), I/Imax
34.3, 100.0
34.9, 49.5
62.2, 36.0
50.2, 17.8
61.0, 17.0
27.2, 12.7
72.2, 10.3
11.7, 10.1
48.3, 8.5
73.7, 5.7

Structure:
End of the materials data:
lol, I don't think it would be that much fun for anyone who doesn't know their way around yet . And playing a 1v1 there would be insane, a lot like playing a 1v1 on Chill Out That's pretty good tho
• Here the page breaks off for calculated crystals:
┌──
No. 1
Diffraction record for CaAl4VO8. The powder X-ray diffraction pattern is simulated, not measured: it uses a structure optimized by DFT (GGA+U) and Cu Ka.
Peak positions follow from Bragg's law for the DFT cell and can differ from measured ones.

The 10 most intense peaks (5 to 70 degrees two-theta), by angle:
two_theta  d (Å)  I (rel.)
18.44  4.812  31
30.49  2.932  44
34.66  2.588  48
35.47  2.531  100
35.86  2.504  16
42.98  2.104  57
56.91  1.618  29
57.46  1.604  24
61.36  1.511  46
63.45  1.466  47

```
data_CaAl4VO8
_cell_length_a 6.049
_cell_length_b 6.049
_cell_length_c 6.049
_cell_angle_alpha 57.99
_cell_angle_beta 57.99
_cell_angle_gamma 57.99
_symmetry_space_group_name_H-M 'P 1'
_symmetry_Int_Tables_number 1
loop_
_symmetry_equiv_pos_as_xyz
'x,y,z'
loop_
_atom_site_label
_atom_site_fract_x
_atom_site_fract_y
_atom_site_fract_z
Ca1 0.000 0.000 0.000
Al1 0.368 0.368 0.887
Al2 0.368 0.887 0.368
Al3 0.756 0.756 0.756
Al4 0.887 0.368 0.368
V1 0.371 0.371 0.371
O1 0.127 0.127 0.567
O2 0.127 0.567 0.127
O3 0.141 0.141 0.141
O4 0.143 0.630 0.630
O5 0.567 0.127 0.127
O6 0.621 0.621 0.621
O7 0.630 0.143 0.630
O8 0.630 0.630 0.143
```

No. 2
Diffraction record for CaAl2V4O8. The powder X-ray diffraction pattern is simulated, not measured: it uses a structure optimized by DFT (GGA+U) and Cu Ka.
Peak positions follow from Bragg's law for the DFT cell and can differ from measured ones.

The 10 most intense peaks (5 to 70 degrees two-theta), by angle:
two_theta  d (Å)  I (rel.)
17.63  5.031  18
17.67  5.020  8
34.04  2.634  10
34.13  2.627  7
35.56  2.525  9
35.73  2.513  26
41.44  2.179  100
59.88  1.545  18
60.08  1.540  19
60.18  1.538  18

```
data_CaAl2V4O8
_cell_length_a 6.151
_cell_length_b 6.151
_cell_length_c 6.165
_cell_angle_alpha 119.78
_cell_angle_beta 119.78
_cell_angle_gamma 60.05
_symmetry_space_group_name_H-M 'P 1'
_symmetry_Int_Tables_number 1
loop_
_symmetry_equiv_pos_as_xyz
'x,y,z'
loop_
_atom_site_label
_atom_site_fract_x
_atom_site_fract_y
_atom_site_fract_z
Ca1 0.000 0.000 0.000
Al1 0.000 0.500 0.000
Al2 0.500 0.000 0.000
V1 0.000 0.500 0.500
V2 0.500 0.000 0.500
V3 0.500 0.500 0.000
V4 0.500 0.500 0.500
O1 0.232 0.701 0.215
O2 0.255 0.255 0.778
O3 0.256 0.256 0.241
O4 0.299 0.768 0.785
O5 0.701 0.232 0.215
O6 0.744 0.744 0.759
O7 0.745 0.745 0.222
O8 0.768 0.299 0.785
```

~~~~~

No. 1
Theoretical powder diffraction line list of PNCl2 for Cu Kα (weighted mean of Kα1 and Kα2), from a crystal structure in Alexandria, relaxed with PBE.
Intensities are scaled so that the largest is 100.

Structural model:
```
data_PNCl2
_chemical_formula_sum 'P8 N8 Cl16'
_cell_length_a 11.719
_cell_length_b 11.719
_cell_length_c 6.438
_cell_angle_alpha 90.00
_cell_angle_beta 90.00
_cell_angle_gamma 90.00
_space_group_name_H-M_alt 'P 1'
_space_group_IT_number 1
_space_group_name_Hall 'P 1'
loop_
_atom_site_label
_atom_site_type_symbol
_atom_site_fract_x
_atom_site_fract_y
_atom_site_fract_z
P1 P 0.084 0.290 0.203
P2 P 0.210 0.084 0.297
└──
It wasn't a 1v1. It was five player Team Slayer. Me and a guy vs. that guy and two other people. But I agree that the map is confusing the first time.
Ah sweet, that would be cool then. Yeah I've noticed most people are a little lost the first time they play it. I actually recommend flying around it a bit in forge first. That's a good thing though, like a real map. Just think back to the first time you played Epitaph or Chill Out, I guarantee both were confusing . A real map has to be learned, because a real map has complexities. ---- Also, in response to what Gravedigger said, I actually completely don't know what he is talking about spawning in facing a wall, etc. You can go into Forge and fly around my map and you will notice that every spawn point is placed with extreme care. I even perfected things that wouldn't matter with the spawn points. If I put 2 or 3 spawns near each other I would make sure they were absolutely straight and completely in line. Also there are no spawns in the center of rooms or facing walls like he makes it sound.
definitely gonna download that map. and wow, just by looking at the pictures you're like the pro at interlocking objects.
Yeah, I've played two actual games here and I don't recall a single bad spawn. And I totally agree that great maps have complexities.
thanks man, just takes a good amount of time and usually about 10 tries to get it right I'm still planning on getting you that KOTH/CTF/Oddball version, I think that would be really fun. Also thinking about releasing a version with some weapons changed out, etc. For a big group the weapons are great, but for smaller groups you can just destroy everyone if you know the map and they don't . There is the MLG version that works well for smaller groups, but I'd like to add a version with a little more variety than that, but less than the original Runway.
Just looking for a different point of view for a possible alternate version. What would be your choices for power-weapons, power-ups, and equipment? Let me know because I'm working on a more objective based version. Thanks!
Dear Windburry, God of Forge, Runway is without a doubt the best map i have seen to date (and i have DL'd a TON of maps). How this is slipping in the forums or hasnt made it to the Bungie Faves yet is beyond me... but it is deserving. If this map was a girl, i'd drink her bathwater. Just found a couple sneaky escapes too that i love. one being jumping from sniper room straight up on top of the runway (pretty difficult to do sometimes, but a well-timed crouch jump can in fact get the job done..even without the luxury of grenade jumping). The other great escape is jumping from the top of the runway straight down into the brute shot room (the opening just above the sign. Also i like the fact that from the top of the Runway near sniper room and facing shotgun room, you can walk off the edge to the right and kick it on the fence wall ledge to be super sneaky, and walk back over to the man cannon room. Also from the bridge facing active camo, you can jump on top of the wall to the left (its just an edge really) and effectively surprise someone who might be chasing you or can jump from there up to the plasmas near the top of the runway. Ive only had this map about 4 days and have already played numerous customs on it with a wide variety of people. ALL HAVE LOVED IT. enough babbling, this map is the shiznit... go download it NOW. and once my blacklist gets lifted in the bungie forums, ill post there as well..this needs more recognition. p.s. bubble god and the rocket to banshee clips are tiiiiiight.
Windburry, I really like this map, but enough with the double posing already. I've noticed four instances of double posting in this thread, and it's gotta stop. Any leniency I've had because I like this map has been spent. I've got to be fair to all members so there will be consequences if it happens again. Anyway, like I said, I like this map. But it recently came to my attention that you used someone else's map as a base for nearly half of Runway. Why didn't you offer some credit to the original author? Do they know that you edited their Chill Out remake to make your own map?
What comes next are crystal structures, not part of the piece
********
Diffraction record for Co2NiO4. The X-ray powder pattern is computed, not measured: it uses a DFT-relaxed cell (PBE+U, the Materials Project) and copper Kα.

Atomic structure:
a = 5.8307 Å, b = 5.8798 Å, c = 5.8841 Å
α = 60.31°, β = 60.95°, γ = 60.37°
Space group P-1 (No. 2)
One atom of each set of equivalent atoms:
1 Co 0.0000 0.0000 0.0000 [1 per cell]
2 Co 0.0000 0.0000 0.5000 [1 per cell]
3 Co 0.0000 0.5000 0.0000 [1 per cell]
4 Co 0.5000 0.0000 0.0000 [1 per cell]
5 Ni 0.3793 0.3871 0.3610 [2 per cell]
6 O 0.2082 0.7471 0.7915 [2 per cell]
7 O 0.2226 0.2788 0.7645 [2 per cell]
8 O 0.2470 0.7951 0.2174 [2 per cell]
9 O 0.2487 0.2531 0.2099 [2 per cell]

Peak list (10 most intense, 2θ = 15–90°, low angle first)
| 2θ/deg | I_rel |
| --- | --- |
| 30.4 | 61 |
| 35.5 | 100 |
| 35.7 | 63 |
| 35.8 | 97 |
| 35.9 | 36 |
| 36.0 | 70 |
| 36.1 | 36 |
| 57.0 | 29 |
| 63.2 | 56 |
| 63.3 | 28 |


Diffraction record for Co2NiO4. The X-ray powder pattern is computed, not measured: it uses a DFT-relaxed cell (PBE+U, the Materials Project) and copper Kα.

Atomic structure:
a = 5.7136 Å, b = 5.7192 Å, c = 5.7975 Å
α = 89.95°, β = 60.58°, γ = 60.07°
Space group P-1 (No. 2)
One atom of each set of equivalent atoms:
1 Co 0.0000 0.0000 0.0000 [1 per cell]
2 Co 0.0000 0.0000 0.5000 [1 per cell]
3 Co 0.5000 0.0000 0.0000 [1 per cell]
4 Co 0.5000 0.5000 0.0000 [1 per cell]
5 Ni 0.2521 0.3748 0.6203 [2 per cell]
6 O 0.0295 0.2084 0.2334 [2 per cell]
7 O 0.0287 0.7621 0.2342 [2 per cell]
8 O 0.4686 0.7660 0.7958 [2 per cell]
9 O 0.4743 0.7628 0.2351 [2 per cell]

Peak list (10 most intense, 2θ = 15–90°, low angle first)
| 2θ/deg | I_rel |
| --- | --- |
| 19.0 | 33 |
| 30.8 | 43 |
| 31.3 | 61 |
| 36.2 | 65 |
| 36.3 | 32 |
| 36.6 | 99 |
| 36.7 | 100 |
| 36.8 | 94 |
| 44.4 | 45 |
| 65.2 | 54 |


Diffraction record for Co2NiO4. The X-ray powder pattern is computed, not measured: it uses a DFT-relaxed cell (PBE+U, the Materials Project) and copper Kα.

Atomic structure:
a = 5.7188 Å, b = 5.7215 Å, c = 5.8592 Å
α = 112.80°, β = 117.22°, γ = 97.65°
Space group P-1 (No. 2)
One atom of each set of equivalent atoms:
1 Co 0.0000 0.0000 0.0000 [1 per cell]
2 Co 0.0000 0.0000 0.5000 [1 per cell]
3 Co 0.0000 0.5000 0.0000 [1 per cell]
4 Co 0.5000 0.0000 0.5000 [1 per cell]
5 Ni 0.3479 0.5968 0.7496 [2 per cell]
6 O 0.2173 0.7573 0.4849 [2 per cell]
7 O 0.2271 0.2681 0.9839 [2 per cell]
8 O 0.2411 0.2123 0.4598 [2 per cell]
9 O 0.2522 0.7804 0.0385 [2 per cell]

Peak list (10 most intense, 2θ = 15–90°, low angle first)
| 2θ/deg | I_rel |
| --- | --- |
| 31.0 | 26 |
| 33.3 | 57 |
| 34.4 | 100 |
| 35.5 | 58 |
| 36.8 | 31 |
| 38.5 | 31 |
| 38.9 | 62 |
| 52.9 | 26 |
| 57.6 | 30 |
| 66.0 | 34 |
********
I wouldn't have caught that. Still, it seems like a good map, based on partially reviews, but mostly description and pics. I can't do much criticism though, until I dl.
I love MLG Chill Out so I love this map, however the spawns over the overshields seem just right out in the open, would rather they be backed up to a wall... yep, that's right, I really couldn't find any other issues but that tiny nitpick. Good Job.
Furious, I can see how you got confused, but I did not edit anyone's map to build Runway. As I said, I drew inspiration from Chill Out and Prisoner. Since my map was a creation inspired by Prisoner and Chill Out I looked at the best Foundry remakes of Chill Out and Prisoner for some inspiration, as well as loading up Halo 1 to look at the originals. I constructed the map alone, on an empty foundry canvas, and drew inspiration from Tigaer's Chill Out. Which means that while I constructed my map, I employed techniques that I had seen used in his and other creations. I never once edited anyone else's map, and I am a little offended to have credit nearly stolen from me because of a misunderstanding. EDIT: By the way, follow and you can read Tigaer's response to my map, he liked it, he also knew that I didn't rip him off. Also, load up the 2nd page of this thread and you can find what Gorebound thought about it, but if you would is what he said: "At first when I loaded up the map and ran around it my immediate thought was "Aww heeeell no, he's copied Tigaers Chill Out remake". But then I went around and checked it out properly and came to the conclusion that it's got similiarities but that you're not a copy-ninja ;P, sorry bud. With that said I have to say that you've done a great job on this one. I couldn't anything that wasn't up to par . Keep up the excellent work!" On top of that, download Tigaer's Chill Out, you will find a link to it in his signature at the link I gave you, check it out, take your time, and you will realize that anything of mine that is similar to his is exactly that - similar. We have one room that is similar (the "shotgun room" from Halo 1 Chill Out) but my room is an entire single box (or more) size larger, proportioned differently, uses a bridge instead of stairs, has a tube coming into it, and leads to a different location.